Entries:
-- begin --
Theoretical X-ray diffraction stick pattern of Ga2Si2O7 for λ = 1.5418 Å (Cu Kα), from a crystal structure in Alexandria, relaxed with GGA-PBE.
Peak positions follow from Bragg's law for the DFT cell and can differ from measured ones.

Structural model:
a b c (Å): 4.7861 9.5156 5.6391
angles (deg): 90.00 102.40 90.00
Fractional positions:
Ga 0.1535 0.1835 0.3522
Ga 0.1535 0.3165 0.8522
Ga 0.8465 0.6835 0.1478
Ga 0.8465 0.8165 0.6478
Si 0.3479 0.6002 0.6675
Si 0.3479 0.8998 0.1675
Si 0.6521 0.1002 0.8325
Si 0.6521 0.3998 0.3325
O 0.0958 0.7021 0.5014
O 0.0958 0.7979 0.0014
O 0.2009 0.5070 0.8462
O 0.2009 0.9930 0.3462
O 0.3973 0.2076 0.6894
O 0.3973 0.2924 0.1894
O 0.5000 0.0000 0.0000
O 0.5000 0.5000 0.5000
O 0.6027 0.7076 0.8106
O 0.6027 0.7924 0.3106
O 0.7991 0.0070 0.6538
O 0.7991 0.4930 0.1538
O 0.9042 0.2021 0.9986
O 0.9042 0.2979 0.4986

Principal peaks in the range 2θ = 10–90°, in order of rising 2θ:
2θ 18.6, 4.758 Å, I = 22, (0 2 0)
2θ 21.2, 4.196 Å, I = 28, (1 1 0)
2θ 26.7, 3.334 Å, I = 13, (1 2 0)
2θ 29.1, 3.067 Å, I = 100, (1 2 -1)
2θ 33.9, 2.645 Å, I = 23, (0 1 2)
2θ 39.7, 2.271 Å, I = 12, (2 1 0)
2θ 41.3, 2.184 Å, I = 11, (0 4 1)
2θ 44.3, 2.047 Å, I = 15, (1 4 -1)
2θ 63.0, 1.476 Å, I = 15, (2 5 -1)
2θ 71.4, 1.321 Å, I = 10, (0 5 3)

=====

Simulated X-ray diffraction stick pattern
Compound: NaPbWO4
Radiation: Cu Kα (λ = 1.5418 Å)
Structure: DFT lattice parameters and positions (GGA+U)

Structural model:
Cell lengths 6.4456, 6.0397, 7.5202 Å; angles 90.00, 109.74, 90.00 degrees
Fractional coordinates of all 14 atoms:
Na  0.1918  0.2500  0.4544
Na  0.8082  0.7500  0.5456
Pb  0.0229  0.2500  0.9131
Pb  0.9771  0.7500  0.0869
W  0.3594  0.7500  0.6632
W  0.6406  0.2500  0.3368
O  0.2049  0.5096  0.6943
O  0.2049  0.9904  0.6943
O  0.3508  0.2500  0.1844
O  0.3578  0.7500  0.4218
O  0.6422  0.2500  0.5782
O  0.6492  0.7500  0.8156
O  0.7951  0.0096  0.3057
O  0.7951  0.4904  0.3057

Largest 6 diffraction maxima, by intensity, 10° ≤ 2θ ≤ 80°:
Position (°2θ)  I_rel
21.55  1000
22.29  695
29.25  576
29.58  435
41.05  300
42.53  284

=====

The following is a computed powder diffractogram of Cs2NpI5Cl. It was derived from a structure optimized by DFT (PBE), using CuKα.
Peak positions follow from Bragg's law for the DFT cell and can differ from measured ones.

Crystal structure
```
data_Cs2NpI5Cl
_chemical_formula_sum 'Cs4 Np2 I10 Cl2'
_cell_length_a 8.633
_cell_length_b 8.633
_cell_length_c 11.765
_cell_angle_alpha 90.00
_cell_angle_beta 90.00
_cell_angle_gamma 90.00
_symmetry_space_group_name_H-M 'I 4 m m'
_symmetry_Int_Tables_number 107
_symmetry_space_group_name_Hall 'I 4 -2'
loop_
_atom_site_label
_atom_site_fract_x
_atom_site_fract_y
_atom_site_fract_z
Cs1 0.000 0.500 0.000
Np1 0.000 0.000 0.245
I1 0.000 0.000 0.501
I2 0.247 0.247 0.250
Cl1 0.000 0.000 0.027
```

Top 10 peaks for 10° ≤ 2θ ≤ 90°, sorted by position:
| 2θ/deg | d/Å | I_rel | index |
| --- | --- | --- | --- |
| 12.72 | 6.960 | 66 | 1 0 1 |
| 20.97 | 4.236 | 36 | 1 1 2 |
| 24.26 | 3.668 | 27 | 2 1 1 |
| 25.60 | 3.480 | 100 | 2 0 2 |
| 29.26 | 3.052 | 97 | 2 2 0 |
| 30.39 | 2.941 | 43 | 0 0 4 |
| 41.86 | 2.158 | 36 | 4 0 0 |
| 42.69 | 2.118 | 68 | 2 2 4 |
| 49.71 | 1.834 | 30 | 4 2 2 |
| 52.60 | 1.740 | 37 | 4 0 4 |

=====

Record 1
For Lu8Bi2C3N3, a cell relaxed with PBE gives the calculated PXRD pattern in this record (copper Kα).

Unit cell a=3.4681 b=3.4681 c=26.6151 alpha=90.00 beta=90.00 gamma=120.00
Element x y z (fractional)
1 Lu 0.0000 0.0000 0.1473
2 Lu 0.0000 0.0000 0.3454
3 Lu 0.0000 0.0000 0.6546
4 Lu 0.0000 0.0000 0.8527
5 Lu 0.3333 0.6667 0.5538
6 Lu 0.3333 0.6667 0.9511
7 Lu 0.6667 0.3333 0.0489
8 Lu 0.6667 0.3333 0.4462
9 Bi 0.3333 0.6667 0.7573
10 Bi 0.6667 0.3333 0.2427
11 C 0.0000 0.0000 0.5000
12 C 0.3333 0.6667 0.3876
13 C 0.6667 0.3333 0.6124
14 N 0.0000 0.0000 0.0000
15 N 0.3333 0.6667 0.1039
16 N 0.6667 0.3333 0.8961

Principal peaks in the range 2θ from 10° to 90°, in order of rising 2θ:
-- stop --

Exercise:
The reader should filter the calculation results further above: keep the lines with the word "Lu".

Completed:
1 Lu 0.0000 0.0000 0.1473
2 Lu 0.0000 0.0000 0.3454
3 Lu 0.0000 0.0000 0.6546
4 Lu 0.0000 0.0000 0.8527
5 Lu 0.3333 0.6667 0.5538
6 Lu 0.3333 0.6667 0.9511
7 Lu 0.6667 0.3333 0.0489
8 Lu 0.6667 0.3333 0.4462